## Wanted
Duplicate the listing further below without altering anything, please.

## Listing
/*
(1)
Diffraction record for MgBi2O4. The powder diffraction line list is computed, not measured: it uses a DFT-relaxed cell (PBE, the Materials Project) and Cu Kα.
Kinematic intensities with the Lorentz-polarization factor, no thermal factor.

Structural model:
Cell: 6.8907 6.8907 16.3626 Å, 90.00 90.00 120.00°
Fractional coordinates of all 42 atoms:
1 Mg 0.0000 0.0000 0.0000
2 Mg 0.0000 0.0000 0.2479
3 Mg 0.0000 0.0000 0.6233
4 Mg 0.3333 0.6667 0.5837
5 Mg 0.6667 0.3333 0.2935
6 Mg 0.6667 0.3333 0.9179
7 Bi 0.1653 0.3305 0.7915
8 Bi 0.1653 0.8347 0.7915
9 Bi 0.3282 0.1641 0.4599
10 Bi 0.3333 0.6667 0.3432
11 Bi 0.3333 0.6667 0.9606
12 Bi 0.5038 0.0077 0.1291
13 Bi 0.5038 0.4962 0.1291
14 Bi 0.6667 0.3333 0.6751
15 Bi 0.6695 0.8347 0.7915
16 Bi 0.8359 0.1641 0.4599
17 Bi 0.8359 0.6718 0.4599
18 Bi 0.9923 0.4962 0.1291
19 O 0.0000 0.0000 0.3738
20 O 0.0000 0.0000 0.8744
21 O 0.1618 0.3236 0.5444
22 O 0.1618 0.8382 0.5444
23 O 0.1661 0.3321 0.0405
24 O 0.1661 0.8339 0.0405
25 O 0.2873 0.1436 0.7014
26 O 0.3333 0.6667 0.2114
27 O 0.3333 0.6667 0.7074
28 O 0.3518 0.1759 0.2131
29 O 0.5059 0.0118 0.8728
30 O 0.5059 0.4941 0.8728
31 O 0.5218 0.0437 0.3703
32 O 0.5218 0.4782 0.3703
33 O 0.6667 0.3333 0.0458
34 O 0.6667 0.3333 0.5425
35 O 0.6679 0.8339 0.0405
36 O 0.6764 0.8382 0.5444
37 O 0.8241 0.1759 0.2131
38 O 0.8241 0.6482 0.2131
39 O 0.8564 0.1436 0.7014
40 O 0.8564 0.7127 0.7014
41 O 0.9563 0.4782 0.3703
42 O 0.9882 0.4941 0.8728

Principal peaks in the range 15 to 90 degrees two-theta, by angle:
- 5.606 Å, I = 44
- 5.454 Å, I = 59
- 2.935 Å, I = 100
- 2.913 Å, I = 73
- 2.803 Å, I = 73
- 2.411 Å, I = 57
- 1.723 Å, I = 46
- 1.687 Å, I = 43

***

(2)
Diffraction record for CeSe2. The powder diffraction line list is computed, not measured: it uses a DFT-relaxed cell (PBE, the Materials Project) and Cu Kα.
Kinematic intensities with the Lorentz-polarization factor, no thermal factor.

Structural model:
Cell: 7.6095 13.5758 15.5327 Å, 90.00 90.00 90.00°
Fractional coordinates of all 24 atoms:
1 Ce 0.0444 0.0897 0.1540
2 Ce 0.0444 0.4103 0.3460
3 Ce 0.4556 0.0897 0.3460
4 Ce 0.4556 0.4103 0.1540
5 Ce 0.5444 0.5897 0.8460
6 Ce 0.5444 0.9103 0.6540
7 Ce 0.9556 0.5897 0.6540
8 Ce 0.9556 0.9103 0.8460
9 Se 0.0000 0.0000 0.0000
10 Se 0.0000 0.5000 0.5000
11 Se 0.2500 0.2500 0.1239
12 Se 0.2500 0.2500 0.3761
13 Se 0.2500 0.5297 0.2500
14 Se 0.2500 0.6184 0.7500
15 Se 0.2500 0.8816 0.7500
16 Se 0.2500 0.9703 0.2500
17 Se 0.5000 0.0000 0.5000
18 Se 0.5000 0.5000 0.0000
19 Se 0.7500 0.0297 0.7500
20 Se 0.7500 0.1184 0.2500
21 Se 0.7500 0.3816 0.2500
22 Se 0.7500 0.4703 0.7500
23 Se 0.7500 0.7500 0.6239
24 Se 0.7500 0.7500 0.8761

Principal peaks in the range 15 to 90 degrees two-theta, by angle:
- 4.345 Å, I = 38
- 4.243 Å, I = 100
- 4.083 Å, I = 35
- 3.352 Å, I = 35
- 2.862 Å, I = 37
- 2.293 Å, I = 41
- 2.140 Å, I = 36
- 2.123 Å, I = 55

***

(3)
Diffraction record for EuAlO3. The powder diffraction line list is computed, not measured: it uses a DFT-relaxed cell (PBE, the Materials Project) and Cu Kα.
Kinematic intensities with the Lorentz-polarization factor, no thermal factor.

Structural model:
Cell: 3.7682 3.7682 3.7682 Å, 90.00 90.00 90.00°
Fractional coordinates of all 5 atoms:
1 Eu 0.0000 0.0000 0.0000
2 Al 0.5000 0.5000 0.5000
3 O 0.0000 0.5000 0.5000
4 O 0.5000 0.0000 0.5000
5 O 0.5000 0.5000 0.0000

Principal peaks in the range 15 to 90 degrees two-theta, by angle:
- 3.768 Å, I = 52
- 2.664 Å, I = 100
- 2.176 Å, I = 42
- 1.884 Å, I = 34
- 1.685 Å, I = 24
- 1.538 Å, I = 39
- 1.332 Å, I = 20
- 1.192 Å, I = 17

***

(4)
Diffraction record for Li2CeO3. The powder diffraction line list is computed, not measured: it uses a DFT-relaxed cell (PBE, the Materials Project) and Cu Kα.
Kinematic intensities with the Lorentz-polarization factor, no thermal factor.

Structural model:
Cell: 5.5647 5.5647 5.9495 Å, 102.03 102.03 117.99°
Fractional coordinates of all 12 atoms:
1 Li 0.0711 0.9289 0.7500
2 Li 0.2332 0.7668 0.2500
*/

## Done
(1)
Diffraction record for MgBi2O4. The powder diffraction line list is computed, not measured: it uses a DFT-relaxed cell (PBE, the Materials Project) and Cu Kα.
Kinematic intensities with the Lorentz-polarization factor, no thermal factor.

Structural model:
Cell: 6.8907 6.8907 16.3626 Å, 90.00 90.00 120.00°
Fractional coordinates of all 42 atoms:
1 Mg 0.0000 0.0000 0.0000
2 Mg 0.0000 0.0000 0.2479
3 Mg 0.0000 0.0000 0.6233
4 Mg 0.3333 0.6667 0.5837
5 Mg 0.6667 0.3333 0.2935
6 Mg 0.6667 0.3333 0.9179
7 Bi 0.1653 0.3305 0.7915
8 Bi 0.1653 0.8347 0.7915
9 Bi 0.3282 0.1641 0.4599
10 Bi 0.3333 0.6667 0.3432
11 Bi 0.3333 0.6667 0.9606
12 Bi 0.5038 0.0077 0.1291
13 Bi 0.5038 0.4962 0.1291
14 Bi 0.6667 0.3333 0.6751
15 Bi 0.6695 0.8347 0.7915
16 Bi 0.8359 0.1641 0.4599
17 Bi 0.8359 0.6718 0.4599
18 Bi 0.9923 0.4962 0.1291
19 O 0.0000 0.0000 0.3738
20 O 0.0000 0.0000 0.8744
21 O 0.1618 0.3236 0.5444
22 O 0.1618 0.8382 0.5444
23 O 0.1661 0.3321 0.0405
24 O 0.1661 0.8339 0.0405
25 O 0.2873 0.1436 0.7014
26 O 0.3333 0.6667 0.2114
27 O 0.3333 0.6667 0.7074
28 O 0.3518 0.1759 0.2131
29 O 0.5059 0.0118 0.8728
30 O 0.5059 0.4941 0.8728
31 O 0.5218 0.0437 0.3703
32 O 0.5218 0.4782 0.3703
33 O 0.6667 0.3333 0.0458
34 O 0.6667 0.3333 0.5425
35 O 0.6679 0.8339 0.0405
36 O 0.6764 0.8382 0.5444
37 O 0.8241 0.1759 0.2131
38 O 0.8241 0.6482 0.2131
39 O 0.8564 0.1436 0.7014
40 O 0.8564 0.7127 0.7014
41 O 0.9563 0.4782 0.3703
42 O 0.9882 0.4941 0.8728

Principal peaks in the range 15 to 90 degrees two-theta, by angle:
- 5.606 Å, I = 44
- 5.454 Å, I = 59
- 2.935 Å, I = 100
- 2.913 Å, I = 73
- 2.803 Å, I = 73
- 2.411 Å, I = 57
- 1.723 Å, I = 46
- 1.687 Å, I = 43

***

(2)
Diffraction record for CeSe2. The powder diffraction line list is computed, not measured: it uses a DFT-relaxed cell (PBE, the Materials Project) and Cu Kα.
Kinematic intensities with the Lorentz-polarization factor, no thermal factor.

Structural model:
Cell: 7.6095 13.5758 15.5327 Å, 90.00 90.00 90.00°
Fractional coordinates of all 24 atoms:
1 Ce 0.0444 0.0897 0.1540
2 Ce 0.0444 0.4103 0.3460
3 Ce 0.4556 0.0897 0.3460
4 Ce 0.4556 0.4103 0.1540
5 Ce 0.5444 0.5897 0.8460
6 Ce 0.5444 0.9103 0.6540
7 Ce 0.9556 0.5897 0.6540
8 Ce 0.9556 0.9103 0.8460
9 Se 0.0000 0.0000 0.0000
10 Se 0.0000 0.5000 0.5000
11 Se 0.2500 0.2500 0.1239
12 Se 0.2500 0.2500 0.3761
13 Se 0.2500 0.5297 0.2500
14 Se 0.2500 0.6184 0.7500
15 Se 0.2500 0.8816 0.7500
16 Se 0.2500 0.9703 0.2500
17 Se 0.5000 0.0000 0.5000
18 Se 0.5000 0.5000 0.0000
19 Se 0.7500 0.0297 0.7500
20 Se 0.7500 0.1184 0.2500
21 Se 0.7500 0.3816 0.2500
22 Se 0.7500 0.4703 0.7500
23 Se 0.7500 0.7500 0.6239
24 Se 0.7500 0.7500 0.8761

Principal peaks in the range 15 to 90 degrees two-theta, by angle:
- 4.345 Å, I = 38
- 4.243 Å, I = 100
- 4.083 Å, I = 35
- 3.352 Å, I = 35
- 2.862 Å, I = 37
- 2.293 Å, I = 41
- 2.140 Å, I = 36
- 2.123 Å, I = 55

***

(3)
Diffraction record for EuAlO3. The powder diffraction line list is computed, not measured: it uses a DFT-relaxed cell (PBE, the Materials Project) and Cu Kα.
Kinematic intensities with the Lorentz-polarization factor, no thermal factor.

Structural model:
Cell: 3.7682 3.7682 3.7682 Å, 90.00 90.00 90.00°
Fractional coordinates of all 5 atoms:
1 Eu 0.0000 0.0000 0.0000
2 Al 0.5000 0.5000 0.5000
3 O 0.0000 0.5000 0.5000
4 O 0.5000 0.0000 0.5000
5 O 0.5000 0.5000 0.0000

Principal peaks in the range 15 to 90 degrees two-theta, by angle:
- 3.768 Å, I = 52
- 2.664 Å, I = 100
- 2.176 Å, I = 42
- 1.884 Å, I = 34
- 1.685 Å, I = 24
- 1.538 Å, I = 39
- 1.332 Å, I = 20
- 1.192 Å, I = 17

***

(4)
Diffraction record for Li2CeO3. The powder diffraction line list is computed, not measured: it uses a DFT-relaxed cell (PBE, the Materials Project) and Cu Kα.
Kinematic intensities with the Lorentz-polarization factor, no thermal factor.

Structural model:
Cell: 5.5647 5.5647 5.9495 Å, 102.03 102.03 117.99°
Fractional coordinates of all 12 atoms:
1 Li 0.0711 0.9289 0.7500
2 Li 0.2332 0.7668 0.2500